Well-known since its first edition for its lucid explanation of the important concepts affecting international commercial agreements in terms that a lawyer or business executive new to the field can understand and use - rather than the legal jargon of experts talking to other experts - this incomparable work provides basic, precise information on setting up and performing international trade transactions. Its focus reflects the reality of the day-to-day business of international trade, which is primarily an undertaking between two private businesses based on a contract drafted and negotiated between the two parties for performance by them with occasional third-party assistance.Reinforcing the book's concentration on the private dimensions of international trade, and more precisely on the contractual aspects of that trade, the Fourth Edition extends its coverage to the newest growing dimensions of the field, with new chapters on intellectual property, international electronic commerce, etc
(1)
First-principles (PBE) data for crystalline SrMoBr2 at its relaxed geometry, as listed in Alexandria via LeMat-Bulk.

Properties
The magnetic moment is 23.973 μB per cell. The value obtained for the formation energy from raw total energies is 145 meV per atom.

Unit cell a=7.8686 b=7.8686 c=7.8686 alpha=90.00 beta=90.00 gamma=90.00
Last column: nearest neighbours and their distance in Å.
Fractional coordinates of all 16 atoms:
1 Sr 0.0000 0.0000 0.0000  4 Mo 3.41, 4 Br 3.41
2 Sr 0.0000 0.5000 0.5000  4 Mo 3.41, 4 Br 3.41
3 Sr 0.5000 0.0000 0.5000  4 Mo 3.41, 4 Br 3.41
4 Sr 0.5000 0.5000 0.0000  4 Mo 3.41, 4 Br 3.41
5 Mo 0.2500 0.2500 0.2500  4 Br 3.41, 4 Sr 3.41
6 Mo 0.2500 0.7500 0.7500  4 Br 3.41, 4 Sr 3.41
7 Mo 0.7500 0.2500 0.7500  4 Br 3.41, 4 Sr 3.41
8 Mo 0.7500 0.7500 0.2500  4 Br 3.41, 4 Sr 3.41
9 Br 0.0000 0.0000 0.5000  4 Mo 3.41, 4 Br 3.41
10 Br 0.0000 0.5000 0.0000  4 Mo 3.41, 4 Br 3.41
11 Br 0.2500 0.2500 0.7500  4 Br 3.41, 4 Sr 3.41
12 Br 0.2500 0.7500 0.2500  4 Br 3.41, 4 Sr 3.41
13 Br 0.5000 0.0000 0.0000  4 Mo 3.41, 4 Br 3.41
14 Br 0.5000 0.5000 0.5000  4 Mo 3.41, 4 Br 3.41
15 Br 0.7500 0.2500 0.2500  4 Br 3.41, 4 Sr 3.41
16 Br 0.7500 0.7500 0.7500  4 Br 3.41, 4 Sr 3.41

(2)
First-principles (PBE) data for crystalline SrMoBr2 at its relaxed geometry, as listed in Alexandria via LeMat-Bulk.

Properties
The magnetic moment is 4.028 μB per cell. The value obtained for the formation energy from raw total energies is -231 meV per atom.

Unit cell a=3.8999 b=5.3276 c=12.0027 alpha=90.00 beta=90.00 gamma=90.00
Last column: nearest neighbours and their distance in Å.
Fractional coordinates of all 8 atoms:
1 Sr 0.0000 0.0000 0.0000  4 Br 3.22, 4 Mo 3.30
2 Sr 0.5000 0.5000 0.5000  4 Br 3.22, 4 Mo 3.30
3 Mo 0.0000 0.0000 0.5000  4 Br 2.66
4 Mo 0.5000 0.5000 0.0000  4 Br 2.66
5 Br 0.0000 0.5000 0.1506  2 Mo 2.66
6 Br 0.0000 0.5000 0.8494  2 Mo 2.66
7 Br 0.5000 0.0000 0.3494  2 Mo 2.66
8 Br 0.5000 0.0000 0.6506  2 Mo 2.66

(3)
First-principles (PBE) data for crystalline SrMoBr2 at its relaxed geometry, as listed in Alexandria via LeMat-Bulk.

Properties
The magnetic moment is 15.099 μB per cell. The value obtained for the formation energy from raw total energies is -90 meV per atom.

Unit cell a=4.2000 b=4.2000 c=31.3480 alpha=90.00 beta=90.00 gamma=120.00
Last column: nearest neighbours and their distance in Å.
Fractional coordinates of all 12 atoms:
1 Sr 0.0000 0.0000 0.0000  6 Br 3.02
2 Sr 0.3333 0.6667 0.6667  6 Br 3.02
3 Sr 0.6667 0.3333 0.3333  6 Br 3.02
4 Mo 0.0000 0.0000 0.5000  6 Mo 4.20, 6 Br 4.20
5 Mo 0.3333 0.6667 0.1667  6 Mo 4.20, 6 Br 4.20
6 Mo 0.6667 0.3333 0.8333  6 Mo 4.20, 6 Br 4.20
7 Br 0.0000 0.0000 0.2762  3 Sr 3.02
8 Br 0.0000 0.0000 0.7238  3 Sr 3.02
9 Br 0.3333 0.6667 0.3905  3 Sr 3.02
10 Br 0.3333 0.6667 0.9428  3 Sr 3.02
11 Br 0.6667 0.3333 0.0572  3 Sr 3.02
12 Br 0.6667 0.3333 0.6095  3 Sr 3.02

(4)
Cole, supra note 259, at 10. See also Cole et al. in 1981 IFA Report, supra note 343, at 281 (commenting that in the United States the competent authority officials freely communicate with the taxpayers). 883.
Law and Practice of International Commercial Arbitration.
Article 5(2): “The Secretariat may grant the respondent an extension of the time for submitting the Answer, provided the application for such an extension contains the respondent's observations or proposals concerning the number of ...
Desirability of Post-hearing Memoranda Careful consideration should also be given at the end of the hearing (although, of course, counsel should already be considering such issues well in advance of the end of the hearing) as to whether ...
It provides a practical summary of the relevant legal systems and offers an insight into the manner in which each jurisdiction seeks to resolve commercial disputes, both through traditional court proceedings and alternative dispute ...
Analysis of both the concluded and the proposed dispute resolution methods.
This book gives a comprehensive overview of all relevant aspects of the issue of applicable substantive law in the context of investor/State arbitration.
Written by specialists from each jurisdiction, this new edition provides an in-depth, article-by-article analysis of the local enactment and application of the model law in each of the jurisdictions concerned, alongside consideration of the ...
This work deals with the current state of investment dispute resolution and analyzes the problems associated with investor-state arbitration.